## Entries
********
Starting from DFT lattice parameters and positions (GGA-PBE), the powder X-ray diffraction pattern of ThMg2Ni2Ge was calculated for Cu Kα (weighted mean of Kα1 and Kα2).

Main lines, low angle first (15 to 90 degrees two-theta):
Position (°2θ)	I_rel
20.26	40
25.87	100
31.48	43
32.42	32
35.71	32
36.91	64
44.62	42
49.93	20
52.30	43
53.19	22
65.72	21
71.88	20

Structural model:
```
ThMg2Ni2Ge
1.0
-2.4354 2.4354 5.0289
2.4354 -2.4354 5.0289
2.4354 2.4354 -5.0289
Th Mg Ni Ge
1 2 2 1
direct
0.0000 0.0000 0.0000
0.2500 0.7500 0.5000
0.7500 0.2500 0.5000
0.2728 0.2728 0.0000
0.7272 0.7272 0.0000
0.5000 0.5000 0.0000
```

~~~~~

For Ho3Cd3Ag2Au, a crystal structure in OQMD, relaxed with PBE gives the simulated powder X-ray diffraction pattern in this record (a wavelength of 1.5418 Å).

Main lines, by angle (2θ = 10–80°):
| 2θ/deg | d [Å] | I_rel | index |
| --- | --- | --- | --- |
| 32.33 | 2.769 | 1000 | 1 1 1 |
| 35.03 | 2.561 | 990 | 2 0 1 |
| 35.24 | 2.547 | 364 | 2 1 0 |
| 40.15 | 2.246 | 574 | 3 0 0 |
| 42.25 | 2.139 | 357 | 2 1 1 |
| 46.05 | 1.971 | 262 | 0 0 2 |
| 59.28 | 1.559 | 157 | 2 1 2 |
| 62.71 | 1.482 | 301 | 3 0 2 |
| 64.78 | 1.439 | 393 | 3 2 1 |
| 74.39 | 1.275 | 153 | 5 0 1 |

Structural model:
Unit cell a=7.7808 b=7.7808 c=3.9422 alpha=90.00 beta=90.00 gamma=120.00
Element x y z (fractional)
Ho (0.0000, 0.3981, 0.0000)
Ho (0.3981, 0.0000, 0.0000)
Ho (0.6019, 0.6019, 0.0000)
Cd (0.0000, 0.7341, 0.5000)
Cd (0.2659, 0.2659, 0.5000)
Cd (0.7341, 0.0000, 0.5000)
Ag (0.3333, 0.6667, 0.5000)
Ag (0.6667, 0.3333, 0.5000)
Au (0.0000, 0.0000, 0.0000)
********

## Request
Could you say how many lines of the block earlier on hold the word "I_rel", as a bare number?

## Completed
2